Arsenal Attorneys' Matthew Bergstrom will teach a seminar for lawyers on August 20 entitled "Firearms in Estate Administration: Legal Issues, Executor Liability, Transferring Title I and II Guns, Penalties--Understanding Gun Legal Designations, In-State and Out-of-State Transfers, Use of Gun Trusts." Mr. Bergstrom will be joined by attorneys Michael W. Zarlenga and Sam Hosey to deliver the program. This continuing legal education program is sponsored by Strafford Publications, and attendees may earn CLE credit as may be required by their state bar.
This CLE webinar will guide estate planners and administrators on managing the legal challenges of firearms in estate and trust administration. The panel will discuss federal gun laws and firearm designations, issues for beneficiaries inheriting guns, in-state and out-of-state transfers, and legal ownership. The panel will also review the use of trusts and other entities to transfer guns legally, and best practices to avoid mishaps in the administration of estates or trusts holding firearms.
By George L. Lyon, Jr, Esq.
Although, the Second Amendment guarantees the right of the people to keep and bear arms, that right is not absolute. A person can lose his or her firearm rights in a number of ways. These include conviction of a felony, an involuntary commitment to a mental hospital, conviction for a domestic violence offense, or being subject to a domestic abuse restraining order. There are a number of other prohibited categories not pertinent to this discussion.
If you have been convicted of a felony by a Virginia state court or subject to an involuntary commitment to a mental health facility in Virginia, there are procedures whereby we can help you obtain your firearms rights back. We need to emphasize, however, that if you have been convicted of a felony in federal court, these procedures will not work for restoring your firearm rights. At this time only a presidential pardon can do that. Additionally, these procedures will not work for a domestic abuse conviction.
If your conviction resulted from a plea agreement, in which you pled guilty to a lesser offence in exchange for a lighter sentence, you might not have realized that you lost your Second Amendment rights as part of your plea deal. If your facing criminal charges, it’s important to be represented by competent legal counsel who is also sensitive to your wish to preserve your rights.
Restoring Rights from a Virginia State Felony Conviction
In Virginia, anyone convicted of a felony will lose his or her firearm rights. However, Virginia law allows restoration of firearm rights following a felony conviction. It is a two-step procedure. The first step, following service of the sentence and any period of probation, is to seek restoration of civil rights from the Governor. This can be accomplished via the Virginia Secretary of the Commonwealth’s web site. The applicant will be sent an executive order from the Governor restoring his or her civil rights, except for the right to possess and ship firearms. The applicant will then need to petition the Circuit Court in the county or city where he or she lives to restore his firearms rights. Arsenal Attorneys™ can assist you with this process.
We will ask to obtain records relating to your conviction and other documents supporting your rehabilitation to include in the petition, including your employment history, community involvement, and letters of recommendation from persons in the community. We then submit the petition to the court and to the local Commonwealth’s Attorneys office. Often the Commonwealth’s Attorney will agree to the proposed order to restore gun rights. If not, the Court will schedule a hearing to decide whether to grant the petition.
Restoring Rights from an Involuntary Mental Health Commitment
The procedure for restoration of rights from a mental health commitment is slightly different. A petition is filed with the District Court where the petitioner resides rather than the Circuit Court, and it is served on the Commonwealth’s Attorney. The Court will schedule a hearing on the petition.
The petition for restoration from a mental health commitment contains similar information as a petition for restoration from a felony conviction. But rather than providing information concerning a conviction, the petition includes information concerning the original commitment, including, if possible, notes from the treating facility. We also strongly suggest including a current evaluation from a mental health profession, such as a psychologist or psychiatrist. We have doctors who are knowledgeable of gun issues to whom we refer our clients. We also recommend including other documents such as employment history, driving record, and letters of recommendation.
_Someone pasted calculated molecules at this point_
/*
184
Properties=species:S:1:pos:R:3 method="wB97M-V/def2-TZVPD" charge=0 relative_energy_kcal_mol=0.0 total_energy_ev=-101239.87209 lumo_energy_ha=0.01579 e_homo_ev=-9.0
H 1.68544 -5.44180 -0.44559
C 5.64945 -1.48525 0.85692
H 0.27424 -2.21628 -1.29134
C 4.25285 2.56562 -4.00110
C -2.72786 7.58014 2.20449
O -1.19647 7.43380 0.44317
H -3.85832 -4.72559 0.34213
C 0.78325 -3.15446 -1.67359
H -5.33707 -0.67171 -5.94556
H -0.20917 2.88414 0.48566
C 2.32903 -3.19877 2.30278
H -1.46262 0.80822 -4.10022
H -5.68472 -5.96841 -3.54158
H 5.67809 2.75096 -6.97810
H -1.00156 -6.61215 1.05821
H 2.32444 -0.78782 -3.74904
H -5.88267 2.30525 3.67253
H -3.95280 -2.94133 0.27821
N -1.18972 4.21188 4.28925
H 0.31303 -6.11634 5.91276
H 2.91376 -0.95556 0.50596
N -3.46431 0.24603 -4.07202
C -5.36250 -4.71203 -1.79526
H 3.77208 2.29865 2.77173
O 4.63631 -4.31205 -1.42433
H 3.24407 1.66557 -2.24897
H -0.65999 8.04816 2.43420
H -2.32113 1.34909 -2.76476
H -0.57273 -5.01532 0.94164
H 7.69705 -1.41877 0.51402
H 3.80980 0.06998 -0.54052
C -4.04570 -0.95873 -4.21464
H -3.29094 0.85674 -0.52611
H -2.91320 7.95195 3.22910
H 0.99859 1.68751 -0.17068
C 6.99966 -2.12580 0.89757
C -6.06594 -2.28484 2.11687
O 5.35915 -0.67472 1.83566
C 1.81305 -2.09349 3.17893
H 4.45454 -4.83740 -3.48453
H 4.64338 2.40248 1.15685
N 3.15682 3.84120 1.55095
N 2.28886 -0.81120 2.87124
N -0.27797 -5.64556 3.94285
H -1.41503 -0.47451 4.07927
H -0.12583 3.73092 6.71947
C 0.09290 3.86006 4.53647
O -6.01304 -5.17019 -0.86808
C -0.91641 0.30693 0.82292
H -5.87375 7.87391 1.39189
H -1.87769 4.31338 5.01564
H 1.53614 -3.31482 1.49061
H 2.38272 -5.10252 -2.09921
C -5.07439 1.78949 3.25664
H -3.76658 -3.48096 -2.36916
H 4.24596 0.61261 -3.34564
C -5.06252 7.26046 1.83317
H 1.53234 3.44760 6.04860
C -3.75120 -0.11602 -0.32023
H -1.91417 8.71785 -1.06013
C 0.58082 3.96605 5.97431
O 1.90154 -3.45124 -0.94309
C -8.27846 -2.15481 -0.97124
H 2.58205 4.23407 2.28306
H 6.01521 0.19781 -4.61040
C 3.51818 1.42295 -3.28860
N -3.04991 0.64719 3.96662
H 5.94095 -1.44389 -2.38423
H -5.23202 7.25610 2.90481
H -7.13365 -3.65624 0.85759
C -3.81348 1.73539 4.12573
H -6.08369 -1.64079 -4.60446
H 5.43390 -0.22866 -6.70151
N 6.21571 -0.69842 -4.20907
H 2.95304 0.71608 4.35725
C 5.60556 -1.31400 -6.49413
H -3.90513 0.99941 -4.55987
C -2.19480 0.53037 -3.43615
H 1.38825 5.79719 0.20280
H -0.76089 7.43953 -1.51545
C 1.66387 0.08460 -3.82937
H -1.93727 -5.40819 1.93403
H -1.10776 0.90760 1.71530
O 2.43079 1.23672 -4.19077
H 4.97469 3.06164 -3.32377
H -6.56575 -1.54327 2.66890
C 6.75801 -0.99051 -2.89158
H -4.85877 -0.07903 -0.27875
C 3.57863 -0.96280 -0.33899
H 4.69349 3.86037 -6.13124
H -3.42487 0.05722 3.22340
H -1.65023 -1.32371 -0.21796
H 5.11570 -6.10826 -2.44136
H -5.88703 -3.25452 2.71367
O -3.62394 2.63525 4.95390
N -4.19321 -3.99887 -1.57647
H 4.00026 -6.04360 -0.56125
H 7.58246 -1.66032 -3.01411
H -2.77390 4.37310 3.00382
O 1.17455 -6.36697 2.42459
O -3.15840 -0.60305 0.92745
H 7.04034 -0.06518 -2.45155
*/
If you have been previously convicted of a felony in a Virginia court or involuntarily committed in Virginia and would like to explore restoration of your firearm rights, we offer a complimentary consultation to explore whether you are a good candidate to apply for restoration of your firearms rights. Please contact Arsenal Attorneys to learn how we can help you restore your rights.
**Between two parts of the entry: molecular data**
=====
1.
=====
Arsenal Attorneys’ George Lyon is licensed to practice law in Virginia and the District of Columbia. He was one of the plaintiffs in the Palmer v. District of Columbia case that forced DC to begin issuing concealed carry licenses and in the Heller case that legalized handguns in Washington, DC. Mr. Lyon is licensed by the Metropolitan Police Department to teach the DC concealed carry course including the renewal course and conducts the course monthly. His next class is November 16 in Arlington, Virginia. To sign up for his course, contact Mr. Lyon at gll[at] or at 703-291-3312.
This blog is for educational purposes only and is not intended as legal advice or to create an attorney-client relationship.
This is the latest in a series of blogs summarizing state laws concerning firearms regulated under the National Firearms Act (“NFA”). It is not intended to be a comprehensive explanation of the law, nor is it intended as legal advice. You should always consult an attorney to determine how the law applies to particular circumstances. In this installment, we review Virginia law on silencers. Follow us to learn how various states regulate silencers and other NFA firearms, such as short barrel rifles and machine guns.
Someone pasted records of molecules at this point >
/*
# 1
*/
The records of molecules stop here >
Silencers are legal in Virginia, and they may be used for hunting.
It is unlawful to carry publicly a loaded semi-automatic center-fire rifle or pistol designed to accommodate a silencer in the Cities of Alexandria, Chesapeake, Fairfax, Falls Church, Newport News, Norfolk, Richmond, or Virginia Beach or in the Counties of Arlington, Fairfax, Henrico, Loudoun, or Prince William; however, this restriction does not apply to a person with a concealed handgun permit or engaged in lawful hunting or lawful recreational shooting activities at an established shooting range or shooting contest. See Virginia Code Section 18.2-287.4.
Arsenal Attorneys serve clients in the area of firearms law. The firm serves clients across America from its headquarters in the metro-Washington, DC area. The firm is particularly renowned for its Arsenal Gun Trust, a solution helping clients in the registering, handling, and estate planning of firearms, particularly those regulated under the National Firearms Act. Arsenal Attorneys' team includes lawyers licensed to practice law in nearly every state where NFA firearms are lawful to possess.
This information is provided for informational purposes only, and it is not legal advice, nor does it establish an attorney-client relationship.